The following are a selection of Earth Charter events that took place from August to October 2015 in Mexico.
EC+15 Celebration in Hidalgo, Mexico
With several days of academic and cultural events, the Technological University of Tula-Tepeji celebrated The Earth Charter vision and framework during their 2nd Forum on Green Markets. Professors and students dressed in Indigenous clothing performing a ceremonial dance, local artisans selling handmade crafts and traditional food, public officials and university rectors taking the stage to deliver speeches on sustainability—this was the scene during October 15 – 17 at the Universidad Tecnologica de Tula-Tepeji in Hidalgo, Mexico. At this occasion, students, community members, administrators, and organizations all joined together in celebration of the 15th anniversary and endorsement of the Earth Charter!
After an opening ceremony with words of hope and vision of sustainability from the Rector of UTT, Leodan Portes Vargas, Executive Director of the Earth Charter International, Mirian Vilela, and the Secretary of Public Education of Hidalgo, Miguel Angel Cuatepotzo Coseira, the crowd enjoyed a food fair highlighting local and organic delicacies including the famous chapulines – soaked, salted, and fried crickets. Students and guests stood in line for a chance to get realigned physically from a chiropractor and energetically from a spiritual healer. Children from nearby schools enjoyed interactive exhibits related to technology.
== These records of crystals were left in the entry by mistake ==
........
FeH2O2 | GGA+U | optimized geometry

Cell: 3.3106 3.3106 4.6482 Å, 94.61 94.61 59.82°
Last column: nearest neighbours and their distance in Å.
Element x y z (fractional)
1 Fe 0.0000 0.0000 0.0000  6 O 2.14-2.21
2 H 0.3883 0.2002 0.5730  1 O 0.98
3 H 0.7998 0.6117 0.4270  1 O 0.98
4 O 0.3161 0.3012 0.7756  1 H 0.98
5 O 0.6988 0.6839 0.2244  1 H 0.98

Values from the calculation:
Energy above the lowest structure with this stoichiometry in eV/atom: 0.014
Piezoelectric modulus e_max in C/m2: 0.93
Energy of formation in eV per atom: -1.348
Symmetry: C2, No. 5
Crystal system: monoclinic

***

SrLaMnO4F | GGA+U | optimized geometry

Cell: 5.3885 5.3885 14.0004 Å, 90.00 90.00 90.00°
Last column: nearest neighbours and their distance in Å.
Element x y z (fractional)
1 O 0.0000 0.7500 0.7695  2 Mn 1.91
2 O 0.5000 0.2500 0.7695  2 Mn 1.91
3 O 0.5000 0.2500 0.2305  2 Mn 1.91
4 O 0.5000 0.7500 0.7695  2 Mn 1.91
5 O 0.2500 0.0000 0.6418  1 Mn 1.88
6 O 0.0000 0.2500 0.2305  2 Mn 1.91
7 O 0.5000 0.7500 0.2305  2 Mn 1.91
8 O 0.2500 0.0000 0.9169  1 Mn 1.97
9 O 0.0000 0.7500 0.2305  2 Mn 1.91
10 O 0.7500 0.5000 0.6418  1 Mn 1.88
11 O 0.0000 0.2500 0.7695  2 Mn 1.91
12 O 0.2500 0.5000 0.0831  1 Mn 1.97
13 O 0.7500 0.0000 0.3582  1 Mn 1.88
14 O 0.7500 0.5000 0.9169  1 Mn 1.97
15 O 0.2500 0.5000 0.3582  1 Mn 1.88
16 O 0.7500 0.0000 0.0831  1 Mn 1.97
17 F 0.0000 0.2500 0.5000  4 La 2.56, 4 F 2.69, 4 O 2.75
18 F 0.0000 0.7500 0.5000  4 La 2.56, 4 F 2.69, 4 O 2.75
19 F 0.5000 0.2500 0.5000  4 La 2.56, 4 F 2.69, 4 O 2.75
20 F 0.5000 0.7500 0.5000  4 La 2.56, 4 F 2.69, 4 O 2.75
21 La 0.2500 0.5000 0.6226  4 F 2.56, 8 O 2.71-2.80
22 La 0.7500 0.0000 0.6226  4 F 2.56, 8 O 2.71-2.80
23 La 0.7500 0.5000 0.3774  4 F 2.56, 8 O 2.71-2.80
24 La 0.2500 0.0000 0.3775  4 F 2.56, 8 O 2.71-2.80
25 Sr 0.2500 0.5000 0.9043  9 O 2.50-2.70
26 Sr 0.2500 0.0000 0.0957  9 O 2.50-2.70
27 Sr 0.7500 0.5000 0.0957  9 O 2.50-2.70
28 Sr 0.7500 0.0000 0.9043  9 O 2.50-2.70
29 Mn 0.2500 0.5000 0.2238  6 O 1.88-1.97
30 Mn 0.7500 0.0000 0.2238  6 O 1.88-1.97
31 Mn 0.7500 0.5000 0.7762  6 O 1.88-1.97
32 Mn 0.2500 0.0000 0.7762  6 O 1.88-1.97

Values from the calculation:
Energy of formation in eV per atom: -3.073

* * * * *

# PBE with a Hubbard U MgFe4O4F4, optimized geometry
data_MgFe4O4F4
_symmetry_space_group_name_H-M 'P 1 m 1'
_symmetry_Int_Tables_number 6
_cell_length_a 5.238
_cell_length_b 3.029
_cell_length_c 9.927
_cell_angle_alpha 90.00
_cell_angle_beta 93.40
_cell_angle_gamma 90.00
loop_
_symmetry_equiv_pos_as_xyz
'x,y,z'
'x,-y,z'
loop_
_atom_site_label
_atom_site_fract_x
_atom_site_fract_y
_atom_site_fract_z
Mg1 0.000 0.000 0.000
Fe1 0.331 0.000 0.505
Fe2 0.523 0.000 0.978
Fe3 0.861 0.500 0.283
Fe4 0.915 0.500 0.721
O1 0.065 0.000 0.357
O2 0.197 0.500 0.594
O3 0.758 0.000 0.153
O4 0.771 0.500 0.908
F1 0.211 0.000 0.842
F2 0.242 0.500 0.068
F3 0.552 0.500 0.397
F4 0.674 0.000 0.628
# Formation energy = -208 kJ per mole of atoms
........
== The records of crystals stop here ==

The afternoon was filled with various panels, workshops, and seminars on topics such as “Sustainable Development and Education” and “Youth Leadership for Sustainability”. A few hours later, architect Marcos Sánchez and a team of dedicated Eco Construction and Renewable Energy students proudly inaugurated their “Energy House,” a house they built on the UTTT campus as a traditional model of sustainable building. The day of celebrations ended with the unveiling of the work of artist Robert Rivera Novoa, a mural titled “Brotherhood for Sustainability, Tula-Benicia.”

After another day of festivities and educational events, the celebration moved north to the campus of Chapulhuacán nestled in the mountains of a cloud forest. Accompanied by Mr. Roberto Pedraza Martinez, Secretary of Tourism and Culture of Hidalgo, Rector Leodan launched the event with traditional dances performed by local youth, live music from a band of University alumni, and another local food fair. Artist Nivola Uyá from Spain had been hard at work in Chapulhuacán, and revealed her Earth Charter inspired mural to a delighted crowd. She named it “Hugging the Earth.”

Throughout the weekend, academics, administrators, and public officials drew attention to the importance of the Earth Charter, of choosing to follow an ethical compass, and moving toward a sustainable future. Simultaneously, students, youth, artisans, and organizations showed concrete examples of how to do that. As the celebration came to a close, participants were encouraged and challenged to continue forging new creative paths, individually and collectively, towards a sustainable future. a more just, peaceful, and sustainable world.
Earth Charter Endorsement in Durango
On October 23 2015, Durango, capital, endorsed the principles and values to achieve sustainability of municipal development. The Council met with the Mayor and adopted the Earth Charter as an ethical framework and a code of conduct for their decisions. Earth Charter International congratulates the Durango Municipal Government for its commitment to sustainability and to build a more just, sustainable and peaceful society in Durango. Our congratulations goes as well to the State’s focal point, Dr. Ivonne Salas Amorita Westphal for her commitment to the promotion of this document and for creating institutional synergy, and to Mateo Castillo for spearheading efforts to promote the Earth Charter in Mexico.
Conference and Earth Charter workshops in Ensenada
The Directorate General of Education in Science and Technology of the Sea, signed the Commitment to promote Education for Sustainable Development and the Earth Charter in Mexico, through its 46 schools with an average of 34,000 students. This event took place in the framework of the the National Science and Technology of the Sea Congress, celebrated in Ensenada, Baja California, in September 2015.
The Congress began with an Earth Charter lecture, a workshop was organized for 46 teachers representing each school and 4 workshops for young people in all schools (120 students).
This event was conducted in coordination with the focal point of Baja California Sur, Maria Elena Martinez, facilitators for Youth, the youth of the Autonomous University of Coahuila and Mateo Castillo.
Earth Charter Conference in Puebla
In celebration of the 40th anniversary of the National Technological Institute of Mexico in Tehuacan, Puebla, the message of the Earth Charter was shared. A lecture by Mateo Castillo took place in framework of this celebration, where more than 3,000 people participated. The objective was to raise awareness and support the process of transformation of habits that prevent the practice of sustainability and where the principles and values for the sustainability of the Earth Charter can contribute to achieve a more just, sustainable and peaceful Mexican society.
Congratulations to ITNM for 40 years to build and build more human beings has of their profession!
┌──
[1]
Sm3MgTi4O14: optimized geometry, PBE.

```
Sm3MgTi4O14
1.0
6.174 -3.648 0.000
6.174 3.648 0.000
4.019 0.000 5.939
O Mg Ti Sm
14 1 4 3
direct
0.931 0.322 0.322
0.614 0.614 0.614
0.322 0.931 0.322
0.080 0.672 0.080
0.322 0.322 0.931
0.328 0.920 0.920
0.069 0.678 0.678
0.678 0.069 0.678
0.672 0.080 0.080
0.920 0.920 0.328
0.386 0.386 0.386
0.080 0.080 0.672
0.920 0.328 0.920
0.678 0.678 0.069
0.500 0.500 0.500
0.000 0.000 0.500
0.000 0.500 0.000
0.500 0.000 0.000
0.000 0.000 0.000
0.500 0.500 0.000
0.500 0.000 0.500
0.000 0.500 0.500
```

Summary:
M_tot = 1.0 μB/f.u.

---

[2]
AsSCl3F6: optimized geometry, PBE.

```
AsSCl3F6
1.0
8.076 0.000 0.000
0.000 8.932 0.000
0.000 0.000 12.269
Cl As F S
12 4 24 4
direct
0.335 0.168 0.445
0.142 0.990 0.621
0.665 0.668 0.055
0.278 0.827 0.411
0.778 0.673 0.589
0.358 0.010 0.121
0.165 0.832 0.945
0.642 0.510 0.379
0.835 0.332 0.555
0.722 0.327 0.089
0.222 0.173 0.911
0.858 0.490 0.879
0.794 0.969 0.313
0.706 0.031 0.813
0.294 0.531 0.687
0.206 0.469 0.187
0.375 0.374 0.250
0.296 0.643 0.224
0.625 0.874 0.250
0.182 0.529 0.562
0.875 0.126 0.750
0.125 0.626 0.750
0.318 0.471 0.062
0.682 0.971 0.438
0.704 0.143 0.276
0.040 0.564 0.124
0.540 0.936 0.876
0.204 0.357 0.724
0.617 0.206 0.850
0.818 0.029 0.938
0.597 0.037 0.687
0.383 0.706 0.650
0.796 0.857 0.776
0.883 0.794 0.350
0.097 0.463 0.313
0.903 0.963 0.187
0.117 0.294 0.150
0.403 0.537 0.813
0.960 0.064 0.376
0.460 0.436 0.624
0.659 0.475 0.975
0.159 0.025 0.025
0.841 0.525 0.475
0.341 0.975 0.525
```

Summary:
M_tot = 0.0 μB/f.u.

---

[3]
LiTmSiO4: optimized geometry, PBE.

```
LiTmSiO4
1.0
4.939 0.000 0.000
0.000 6.267 0.000
0.000 0.000 10.848
Tm Si Li O
4 4 4 16
direct
0.480 0.250 0.223
0.980 0.750 0.277
0.020 0.250 0.723
0.520 0.750 0.777
0.417 0.750 0.088
0.917 0.250 0.412
0.083 0.750 0.588
0.583 0.250 0.912
0.000 0.500 0.000
0.500 0.500 0.500
0.000 0.000 0.000
0.500 0.000 0.500
0.774 0.045 0.337
0.287 0.750 0.949
0.213 0.750 0.449
0.726 0.045 0.837
0.226 0.545 0.663
0.274 0.955 0.163
0.713 0.250 0.051
0.774 0.455 0.337
0.226 0.955 0.663
0.245 0.250 0.402
0.726 0.455 0.837
0.745 0.750 0.098
0.274 0.545 0.163
0.255 0.250 0.902
0.787 0.250 0.551
0.755 0.750 0.598
```

Summary:
M_tot = 0.0 μB/f.u.

---

[4]
La2In3Cu9: optimized geometry, PBE.

```
La2In3Cu9
1.0
-2.351 -3.717 2.818
-2.323 -5.447 -9.120
14.950 -8.496 1.266
Cu In La
36 12 8
direct
0.244 0.868 0.153
0.744 0.632 0.653
0.000 0.541 0.413
0.500 0.434 0.666
0.000 0.839 0.648
0.000 0.452 0.091
0.244 0.132 0.847
0.500 0.952 0.409
0.000 0.066 0.166
0.500 0.339 0.852
0.756 0.257 0.588
0.500 0.959 0.913
0.000 0.459 0.587
0.256 0.757 0.912
0.756 0.132 0.847
0.756 0.743 0.412
0.500 0.190 0.966
0.500 0.810 0.034
0.244 0.257 0.588
0.500 0.661 0.148
0.000 0.548 0.909
0.500 0.566 0.334
0.744 0.368 0.347
0.744 0.243 0.088
0.000 0.161 0.352
0.000 0.690 0.534
0.244 0.743 0.412
0.500 0.048 0.591
0.256 0.632 0.653
0.744 0.757 0.912
0.756 0.868 0.153
0.500 0.041 0.087
0.256 0.368 0.347
0.000 0.934 0.834
└──
Earth Charter endorsements in Nayarit
In September 2015, important activities took place in the state of Nayarit, where the State Government and 102 institutions between municipalities, civil society organizations, enterprises and educational endorsed the Earth Charter and committed to move to more sustainable lifestyles with the guidance of Earth Charter principles and values. More than 450 guests witnessed the signing of endorsements.
We deeply appreciate the efforts of Sate of Nayarit Earth Charter focal point, Fernando Trevino, and his team for organizing this great event, which is part of the 15th anniversary celebration of the Earth Charter.
Video Contest in celebration of the 15th anniversary of the Earth Charter
The Earth Charter focal point of Nuevo Leon organized in collaboration with the Autonomous University of Nuevo Leon (UANL) and various other organizations the “1st Earth Charter Video Contest in Nuevo Leon” under the framework of the 15th anniversary of the Earth Charter.
The launch of this competition took place in the Faculty of Communication Sciences of UANL, with the participation of Ms. Lorena Herrera Duran, Earth Charter Focal Point in Nuevo Leon, and Dr. Mario H. Red Flowers, Director of the Faculty of Communication Sciences.
Participants of this contest were asked to submit an original video related to the Earth Charter, the content should focus on actions to help implement the principles of this document in Nuevo Leon. Suggested topics are:
- environmental education.
- natural areas protection.
# Attached: crystal structures
____________
[1]
Compound: FeCu2SnS4
Source: the Materials Project database
Functional: PBE-GGA
Structure: optimized geometry

Output
As for the uncorrected energy: -4.985 eV/atom. The value obtained for the polymorph energy (0 for the lowest one) is 0 kJ/mol of formula units.

Cell and atoms, written as POSCAR:
```
FeCu2SnS4
1.0
-2.734 2.734 5.359
2.734 -2.734 5.359
2.734 2.734 -5.359
Cu Fe S Sn
2 1 4 1
direct
0.750 0.250 0.500
0.250 0.750 0.500
0.000 0.000 0.000
0.635 0.635 0.534
0.899 0.365 0.000
0.101 0.101 0.466
0.365 0.899 0.000
0.500 0.500 0.000
```

***

[2]
Compound: FeCu6Sn2S8
Source: the Materials Project database
Functional: PBE-GGA
Structure: optimized geometry

Output
As for the uncorrected energy: -4.569 eV/atom.

Cell and atoms, written as POSCAR:
```
FeCu6Sn2S8
1.0
7.773 0.000 0.000
0.000 7.773 0.000
0.000 0.000 5.452
Sn S Cu Fe
2 8 6 1
direct
0.500 0.500 0.500
0.000 0.000 0.000
0.500 0.235 0.771
0.740 0.000 0.262
0.000 0.260 0.738
0.260 0.000 0.262
0.500 0.765 0.771
0.765 0.500 0.229
0.235 0.500 0.229
0.000 0.740 0.738
0.759 0.241 0.500
0.759 0.759 0.500
0.500 0.000 0.027
0.241 0.759 0.500
0.000 0.500 0.973
0.241 0.241 0.500
0.500 0.500 0.000
```

***

[3]
Compound: FeCu2Sn3S8
Source: the Materials Project database
Functional: PBE-GGA
Structure: optimized geometry

Output
As for the uncorrected energy: -4.794 eV/atom.

Cell and atoms, written as POSCAR:
```
FeCu2Sn3S8
1.0
6.348 -3.653 0.000
6.348 3.653 0.000
4.246 0.000 5.968
S Cu Sn Fe
8 2 3 1
direct
0.773 0.226 0.773
0.227 0.774 0.227
0.226 0.773 0.773
0.774 0.227 0.227
0.227 0.227 0.774
0.749 0.749 0.749
0.773 0.773 0.226
0.251 0.251 0.251
0.379 0.379 0.379
0.621 0.621 0.621
0.000 0.500 0.000
0.500 0.000 0.000
0.000 0.000 0.500
0.000 0.000 0.000
```

***

[4]
Compound: ZnFe4Cu10Sn5S20
Source: the Materials Project database
Functional: PBE-GGA
Structure: optimized geometry

Output
As for the uncorrected energy: -4.828 eV/atom.

Cell and atoms, written as POSCAR:
```
ZnFe4Cu10Sn5S20
1.0
-5.044 1.091 1.699
-1.184 -5.301 -0.113
11.157 -0.232 24.588
S Cu Zn Sn Fe
20 10 1 5 4
direct
0.668 0.186 0.854
0.940 0.940 0.347
0.207 0.207 0.947
0.007 0.007 0.547
0.340 0.340 0.147
0.993 0.460 0.453
0.740 0.740 0.947
0.593 0.060 0.653
0.260 0.793 0.053
0.614 0.614 0.746
0.186 0.668 0.854
0.060 0.593 0.653
0.860 0.393 0.253
0.407 0.407 0.347
0.793 0.260 0.053
0.540 0.540 0.547
0.132 0.132 0.746
0.807 0.807 0.147
0.393 0.860 0.253
0.460 0.993 0.453
0.450 0.950 0.901
0.950 0.450 0.901
0.050 0.550 0.100
0.350 0.850 0.699
0.650 0.150 0.300
0.250 0.750 0.500
0.150 0.650 0.300
0.550 0.050 0.100
0.750 0.250 0.500
0.850 0.350 0.699
0.400 0.400 0.800
0.900 0.900 0.800
0.700 0.700 0.400
0.100 0.100 0.200
0.500 0.500 0.000
0.300 0.300 0.600
0.600 0.600 0.200
0.200 0.200 0.400
0.000 0.000 0.000
0.800 0.800 0.600
```

***

Number 1: formation energy -4.67 eV/f.u.. Number 2: formation energy -7.51 eV/f.u.. Number 3: formation energy -9.35 eV/f.u.. Number 4: formation energy -24.26 eV/f.u..
____________
- preservation of natural resources.
- environmental care
The Municipality of Jiquilpan uses the Earth Charter
In August, the new administration of Jiquilpan Municipality, in the State of Michoacan, which began operations on September 1, 2015, designed an ethical framework for sustainable city development inspired by the Earth Charter. This will be a reference framework for policy instrumentalization and to achieve a Jiquilpense society that is fair, sustainable and peaceful. The main values identified as important to work on are: tolerance, responsibility, peace, respect, humility.